/*
[1]
DFT (PBE) results for a geometry-optimized Pb3W structure.

Cell and atoms, written as POSCAR:
```
Pb3W
1.0
4.112 -4.856 0.000
4.112 4.856 0.000
0.000 0.000 4.987
Pb W
6 2
Direct
0.124 0.876 0.750 Pb
0.168 0.403 0.750 Pb
0.403 0.168 0.250 Pb
0.597 0.832 0.750 Pb
0.832 0.597 0.250 Pb
0.876 0.124 0.250 Pb
0.347 0.653 0.250 W
0.653 0.347 0.750 W
```

Calculated values
For the formation enthalpy at 0 K, the calculation gives 940.1 meV per atom. As for the excess energy over the best structure of this formula in the dataset: 482 meV per atom. The space-group type is No. 63.

[2]
DFT (PBE) results for a geometry-optimized Na5In12Pb2 structure.

Cell and atoms, written as POSCAR:
```
Na5In12Pb2
1.0
4.191 -13.230 0.000
4.191 13.230 0.000
0.000 0.000 4.890
Na In Pb
5 12 2
Direct
0.000 0.000 0.000 Na
0.268 0.732 0.000 Na
0.368 0.632 0.500 Na
0.632 0.368 0.500 Na
0.732 0.268 0.000 Na
0.022 0.624 0.500 In
0.082 0.337 0.000 In
0.087 0.913 0.500 In
0.337 0.082 0.000 In
0.376 0.978 0.500 In
0.443 0.557 0.000 In
0.557 0.443 0.000 In
0.624 0.022 0.500 In
0.663 0.918 0.000 In
0.913 0.087 0.500 In
0.918 0.663 0.000 In
0.978 0.376 0.500 In
0.300 0.300 0.500 Pb
0.700 0.700 0.500 Pb
```

Calculated values
For the formation enthalpy at 0 K, the calculation gives -57.3 meV per atom. The space-group type is No. 65.

[3]
DFT (PBE) results for a geometry-optimized Pm2PrP3Rh12 structure.

Cell and atoms, written as POSCAR:
```
Pm2PrP3Rh12
1.0
4.548 2.626 4.277
-4.548 2.626 4.277
0.000 -5.252 4.277
Pm Pr P Rh
2 1 3 12
Direct
0.128 0.128 0.128 Pm
0.872 0.872 0.872 Pm
0.500 0.500 0.500 Pr
0.000 0.500 0.500 P
0.500 0.000 0.500 P
0.500 0.500 0.000 P
0.132 0.132 0.590 Rh
0.132 0.590 0.132 Rh
0.161 0.680 0.680 Rh
0.320 0.320 0.839 Rh
0.320 0.839 0.320 Rh
0.410 0.868 0.868 Rh
0.590 0.132 0.132 Rh
0.680 0.161 0.680 Rh
0.680 0.680 0.161 Rh
0.839 0.320 0.320 Rh
0.868 0.410 0.868 Rh
0.868 0.868 0.410 Rh
```

Calculated values
For the formation enthalpy at 0 K, the calculation gives -321.2 meV per atom. The space-group type is No. 166.

[4]
DFT (PBE) results for a geometry-optimized ScMnV2 structure.

Cell and atoms, written as POSCAR:
```
ScMnV2
1.0
-1.825 1.825 9.533
1.825 -1.825 9.533
1.825 1.825 -9.533
Sc Mn V
2 2 4
Direct
0.000 0.000 0.000 Sc
0.750 0.250 0.500 Sc
0.250 0.750 0.500 Mn
0.500 0.500 0.000 Mn
0.139 0.625 0.014 V
0.375 0.389 0.514 V
0.611 0.125 0.986 V
0.875 0.861 0.486 V
```

Calculated values
For the formation enthalpy at 0 K, the calculation gives 591.5 meV per atom. As for the excess energy over the best structure of this formula in the dataset: 391 meV per atom. The space-group type is No. 122.

[5]
DFT (PBE) results for a geometry-optimized As2Ru structure.

Cell and atoms, written as POSCAR:
```
As2Ru
1.0
4.587 0.000 0.000
-2.293 3.972 0.000
0.000 0.000 5.585
As Ru
4 2
Direct
0.333 0.667 0.020 As
0.333 0.667 0.480 As
0.667 0.333 0.520 As
0.667 0.333 0.980 As
0.000 0.000 0.250 Ru
0.000 0.000 0.750 Ru
```

Calculated values
For the formation enthalpy at 0 K, the calculation gives 635.4 meV per atom. The space-group type is No. 194.

[6]
DFT (PBE) results for a geometry-optimized ZrCd2Se structure.

Cell and atoms, written as POSCAR:
```
ZrCd2Se
1.0
3.559 0.000 0.000
0.000 3.559 0.000
0.000 0.000 6.946
Zr Cd Se
1 2 1
Direct
0.000 0.000 0.000 Zr
0.000 0.000 0.534 Cd
0.500 0.500 0.284 Cd
0.500 0.500 0.841 Se
```

Calculated values
The value obtained for the formation energy (no corrections) is -10.496 kcal/mol of atoms. The space-group type is No. 99.

=====

[1]
Compound: TlZnSbTe2
Source: Alexandria via LeMat-Bulk
Functional: PBE-GGA
Structure: optimized geometry

Computed properties:
ΔE_f (raw)   18.75 kcal/mol of atoms
Energy above the most stable polymorph in this dataset   0.605 eV per atom
N(E_F)   1.568 states/eV/atom
Raw total energy   -2.00 eV per atom

Cell and atoms, written as CIF:
```
data_TlZnSbTe2
_chemical_formula_sum 'Tl1 Zn1 Sb1 Te2'
_symmetry_space_group_name_H-M 'P 1'
_symmetry_Int_Tables_number 1
*/

Transcribe all of the entries earlier on exactly.

[1]
DFT (PBE) results for a geometry-optimized Pb3W structure.

Cell and atoms, written as POSCAR:
```
Pb3W
1.0
4.112 -4.856 0.000
4.112 4.856 0.000
0.000 0.000 4.987
Pb W
6 2
Direct
0.124 0.876 0.750 Pb
0.168 0.403 0.750 Pb
0.403 0.168 0.250 Pb
0.597 0.832 0.750 Pb
0.832 0.597 0.250 Pb
0.876 0.124 0.250 Pb
0.347 0.653 0.250 W
0.653 0.347 0.750 W
```

Calculated values
For the formation enthalpy at 0 K, the calculation gives 940.1 meV per atom. As for the excess energy over the best structure of this formula in the dataset: 482 meV per atom. The space-group type is No. 63.

[2]
DFT (PBE) results for a geometry-optimized Na5In12Pb2 structure.

Cell and atoms, written as POSCAR:
```
Na5In12Pb2
1.0
4.191 -13.230 0.000
4.191 13.230 0.000
0.000 0.000 4.890
Na In Pb
5 12 2
Direct
0.000 0.000 0.000 Na
0.268 0.732 0.000 Na
0.368 0.632 0.500 Na
0.632 0.368 0.500 Na
0.732 0.268 0.000 Na
0.022 0.624 0.500 In
0.082 0.337 0.000 In
0.087 0.913 0.500 In
0.337 0.082 0.000 In
0.376 0.978 0.500 In
0.443 0.557 0.000 In
0.557 0.443 0.000 In
0.624 0.022 0.500 In
0.663 0.918 0.000 In
0.913 0.087 0.500 In
0.918 0.663 0.000 In
0.978 0.376 0.500 In
0.300 0.300 0.500 Pb
0.700 0.700 0.500 Pb
```

Calculated values
For the formation enthalpy at 0 K, the calculation gives -57.3 meV per atom. The space-group type is No. 65.

[3]
DFT (PBE) results for a geometry-optimized Pm2PrP3Rh12 structure.

Cell and atoms, written as POSCAR:
```
Pm2PrP3Rh12
1.0
4.548 2.626 4.277
-4.548 2.626 4.277
0.000 -5.252 4.277
Pm Pr P Rh
2 1 3 12
Direct
0.128 0.128 0.128 Pm
0.872 0.872 0.872 Pm
0.500 0.500 0.500 Pr
0.000 0.500 0.500 P
0.500 0.000 0.500 P
0.500 0.500 0.000 P
0.132 0.132 0.590 Rh
0.132 0.590 0.132 Rh
0.161 0.680 0.680 Rh
0.320 0.320 0.839 Rh
0.320 0.839 0.320 Rh
0.410 0.868 0.868 Rh
0.590 0.132 0.132 Rh
0.680 0.161 0.680 Rh
0.680 0.680 0.161 Rh
0.839 0.320 0.320 Rh
0.868 0.410 0.868 Rh
0.868 0.868 0.410 Rh
```

Calculated values
For the formation enthalpy at 0 K, the calculation gives -321.2 meV per atom. The space-group type is No. 166.

[4]
DFT (PBE) results for a geometry-optimized ScMnV2 structure.

Cell and atoms, written as POSCAR:
```
ScMnV2
1.0
-1.825 1.825 9.533
1.825 -1.825 9.533
1.825 1.825 -9.533
Sc Mn V
2 2 4
Direct
0.000 0.000 0.000 Sc
0.750 0.250 0.500 Sc
0.250 0.750 0.500 Mn
0.500 0.500 0.000 Mn
0.139 0.625 0.014 V
0.375 0.389 0.514 V
0.611 0.125 0.986 V
0.875 0.861 0.486 V
```

Calculated values
For the formation enthalpy at 0 K, the calculation gives 591.5 meV per atom. As for the excess energy over the best structure of this formula in the dataset: 391 meV per atom. The space-group type is No. 122.

[5]
DFT (PBE) results for a geometry-optimized As2Ru structure.

Cell and atoms, written as POSCAR:
```
As2Ru
1.0
4.587 0.000 0.000
-2.293 3.972 0.000
0.000 0.000 5.585
As Ru
4 2
Direct
0.333 0.667 0.020 As
0.333 0.667 0.480 As
0.667 0.333 0.520 As
0.667 0.333 0.980 As
0.000 0.000 0.250 Ru
0.000 0.000 0.750 Ru
```

Calculated values
For the formation enthalpy at 0 K, the calculation gives 635.4 meV per atom. The space-group type is No. 194.

[6]
DFT (PBE) results for a geometry-optimized ZrCd2Se structure.

Cell and atoms, written as POSCAR:
```
ZrCd2Se
1.0
3.559 0.000 0.000
0.000 3.559 0.000
0.000 0.000 6.946
Zr Cd Se
1 2 1
Direct
0.000 0.000 0.000 Zr
0.000 0.000 0.534 Cd
0.500 0.500 0.284 Cd
0.500 0.500 0.841 Se
```

Calculated values
The value obtained for the formation energy (no corrections) is -10.496 kcal/mol of atoms. The space-group type is No. 99.

=====

[1]
Compound: TlZnSbTe2
Source: Alexandria via LeMat-Bulk
Functional: PBE-GGA
Structure: optimized geometry

Computed properties:
ΔE_f (raw)   18.75 kcal/mol of atoms
Energy above the most stable polymorph in this dataset   0.605 eV per atom
N(E_F)   1.568 states/eV/atom
Raw total energy   -2.00 eV per atom

Cell and atoms, written as CIF:
```
data_TlZnSbTe2
_chemical_formula_sum 'Tl1 Zn1 Sb1 Te2'
_symmetry_space_group_name_H-M 'P 1'
_symmetry_Int_Tables_number 1